Ninth Circuit Court of Appeals Upholds Hanford Presumption Law
These calculated molecules were left in the article by mistake:
'''
Computed, not measured: the ion C4H6N3O with charge +1, with wB97M-V/def2-TZVPD.

Calculated values
maximum force = 0.06167 Eh/bohr
SMILES = C=C=[NH+]NC(=C)N=O
net charge = +1
HOMO-LUMO gap (spin up / spin down) = 8.0 / 8.0 eV
energy = -10749.4071 eV
relative energy (zero: lowest compared OMol25 entry of this formula, charge and spin) = 5.855 eV

Each line ends with the Löwdin charge.
Geometry (Å):
C1 0.832 -0.023 0.908  -0.32
C2 -1.144 -0.428 -0.962  -0.01
C3 1.050 0.994 0.066  0.13
C4 -1.668 0.623 -1.402  0.16
N1 0.368 -1.321 0.521  0.07
N2 -0.368 -1.376 -0.626  0.10
N3 0.962 -0.014 2.323  0.01
O1 1.599 0.872 2.831  0.08
H1 1.599 1.902 0.342  0.10
H2 0.700 0.972 -0.977  0.06
H3 -2.724 0.727 -1.181  0.13
H4 -1.160 1.422 -1.897  0.11
H5 0.189 -2.085 1.161  0.17
H6 -0.234 -2.268 -1.108  0.21

***

Computed, not measured: a structure of composition C47H50IN3NaO2S2, with wB97M-V/def2-TZVPD.

Calculated values
maximum force = 0.00959 Eh/bohr
net charge = +1
HOMO-LUMO gap = 5.4 eV
energy = -92297.0883 eV
relative energy (zero: lowest compared OMol25 entry of this formula, charge and spin) = 0.000 eV

Each line ends with the Löwdin charge.
Geometry (Å):
Na1 0.186 0.066 -0.582  0.16
C1 -6.869 -3.076 -4.377  -0.04
C2 -5.818 -2.522 -3.453  -0.26
C3 -5.414 -1.193 -3.543  -0.02
C4 -4.437 -0.682 -2.703  -0.06
C5 -3.864 -1.515 -1.758  -0.37
C6 -4.229 -2.851 -1.661  -0.07
C7 -5.211 -3.344 -2.504  -0.03
S1 -2.594 -0.899 -0.671  1.01
O1 -1.925 0.232 -1.398  -0.55
C8 -3.646 -0.245 0.641  -0.28
C9 -3.929 -1.219 1.630  -0.07
C10 -4.689 -0.898 2.710  -0.01
C11 -5.178 0.421 2.878  -0.16
C12 -5.932 0.786 4.021  -0.03
C13 -6.358 2.070 4.192  -0.07
C14 -6.051 3.052 3.225  -0.06
C15 -5.335 2.726 2.110  -0.01
C16 -4.877 1.399 1.904  -0.11
C17 -4.096 1.044 0.755  -0.13
C18 -3.813 2.120 -0.246  -0.15
C19 -4.812 2.492 -1.188  -0.12
C20 -6.069 1.834 -1.249  -0.02
C21 -7.001 2.199 -2.175  -0.06
C22 -6.729 3.240 -3.093  -0.07
C23 -5.532 3.891 -3.057  -0.03
C24 -4.542 3.538 -2.104  -0.15
C25 -3.294 4.203 -2.053  0.00
C26 -2.351 3.845 -1.136  -0.05
C27 -2.630 2.808 -0.227  -0.30
S2 -1.311 2.267 0.863  1.03
O2 -0.083 3.005 0.405  -0.50
C28 -1.883 3.000 2.378  -0.37
C29 -2.096 4.364 2.506  -0.05
C30 -2.593 4.856 3.701  -0.03
C31 -2.890 4.002 4.763  -0.27
C32 -3.457 4.536 6.049  -0.04
C33 -2.655 2.638 4.614  -0.03
C34 -2.148 2.132 3.428  -0.07
H1 -7.365 -2.282 -4.932  0.08
H2 -7.625 -3.630 -3.821  0.08
H3 -6.424 -3.763 -5.099  0.09
H4 -5.871 -0.547 -4.283  0.12
H5 -4.105 0.344 -2.788  0.11
H6 -3.749 -3.499 -0.937  0.11
H7 -5.505 -4.384 -2.431  0.12
H8 -3.512 -2.213 1.524  0.11
H9 -4.907 -1.641 3.468  0.12
H10 -6.160 0.025 4.757  0.12
H11 -6.935 2.340 5.067  0.11
H12 -6.387 4.070 3.369  0.11
H13 -5.101 3.488 1.378  0.12
H14 -6.279 1.030 -0.555  0.13
H15 -7.954 1.689 -2.212  0.11
H16 -7.478 3.520 -3.823  0.11
H17 -5.318 4.691 -3.756  0.11
H18 -3.097 4.999 -2.761  0.12
H19 -1.380 4.323 -1.094  0.11
H20 -1.885 5.028 1.676  0.12
H21 -2.774 5.919 3.808  0.12
H22 -3.775 5.572 5.943  0.08
'''
Back to the article:
On August 19, 2020, the Ninth Circuit issued an opinion finding Washington was not in violation of federal law when it implemented HB 1723, also known as the “Hanford Presumption”. HB 1723 was signed into law in March 2018 and created a presumption that certain illness or conditions diagnosed in workers within the 560 square mile Hanford site was a compensable occupational disease. HB 1723 was designed to create a presumption for workers that chemical and radiological exposures at Hanford are the proximate cause of many respiratory illnesses, multiple types of cancer, and certain neurological and cardiac diseases.
The presumption applies to any worker, including contractors or subcontractors, who work on the Hanford site for as little as one 8-hour shift. It applies for the lifetime of a worker and to survivors of a worker who later dies as a result of a condition covered by the presumption. In addition, workers whose claims were previously denied by the Department of Labor and Industries, Board of Industrial Appeals or state court are entitled to file a new claim under the presumption law.
In June, the federal government argued in the Eastern District Court of Washington that the law was unconstitutional because the state did not have the authority to regulate federal operations or property such as the Hanford site. The District Court disagreed and held a congressional waiver of immunity authorizing states to apply their own workers compensation laws to “all” federal projects applied to the Hanford site as well. The federal government appealed the ruling and in the August 2020 decision, the Ninth Circuit affirmed the district court and held Washington was authorized to apply its workers’ compensation laws to federal land within the state “without limitations.”
Although the Hanford Presumption and the Ninth Circuit decision is limited to specific self-insured employer, the subject areas outlined in the case, the tactics used by proponents of the presumption and the various legal concepts discussed by the courts provide a glimpse of what is likely to come as presumption laws expand in Washington to cover more workers and self-insured employers.
Washington has already implemented a policy change applying a presumption to first responders and health care workers diagnosed with COVID-19. This particular presumption policy is expected to expand significantly in the future. Similarly, efforts are underway to expand the application and scope of presumption laws already in effect, such as the Firefighter Presumption and First Responder Presumption. Workers groups are also pushing for stricter enforcement of current presumption laws, such as deeming an employer’s denial of a claim that is later allowed to be considered a failure to comply with presumption laws, punishable by fines and other penalties.
With the courts rejecting arguments from employers that current presumptions, such as HB 1723, are overly broad and create near impossible burdens of proof to overcome, a proactive approach is critical for self-insured employers to limit exposure. At SBH, our attorneys work with employers and claims administrators handling cases which fall within any current presumption laws to minimize risk though strategic defense practices and targeted investigations into alleged occupational disease claims.
If you have any questions about navigating and managing presumption claims, please contact me at (503) 595-6111 or .